(File)
~~~
Arrangement i

An optimized crystal structure of Mg14CoNiO16. Source: the Materials Project database, functional PBE with a Hubbard U.

```
Mg14CoNiO16
1.0
8.522 0.000 0.000
0.000 8.517 0.000
0.000 0.000 4.236
Mg Co Ni O
14 1 1 16
Direct
0.500 0.000 0.000
0.500 0.500 0.000
0.000 0.251 0.500
0.000 0.749 0.500
0.500 0.250 0.500
0.500 0.750 0.500
0.250 0.000 0.500
0.249 0.500 0.500
0.750 0.000 0.500
0.751 0.500 0.500
0.249 0.250 0.000
0.249 0.750 0.000
0.751 0.250 0.000
0.751 0.750 0.000
0.000 0.000 0.000
0.000 0.500 0.000
0.253 0.000 0.000
0.251 0.500 0.000
0.747 0.000 0.000
0.749 0.500 0.000
0.249 0.250 0.500
0.249 0.750 0.500
0.751 0.250 0.500
0.751 0.750 0.500
0.000 0.000 0.500
0.000 0.500 0.500
0.500 0.000 0.500
0.500 0.500 0.500
0.000 0.253 0.000
0.000 0.747 0.000
0.500 0.250 0.000
0.500 0.750 0.000
```

## Properties
- Symmetry: No. 47

***

Arrangement ii

An optimized crystal structure of Mg14CoNiO16. Source: the Materials Project database, functional PBE with a Hubbard U.

```
Mg14CoNiO16
1.0
8.517 0.000 0.000
0.000 8.517 0.000
0.000 0.000 4.233
Mg Co Ni O
14 1 1 16
Direct
0.000 0.500 0.000
0.500 0.000 0.000
0.000 0.251 0.500
0.000 0.749 0.500
0.500 0.251 0.500
0.500 0.749 0.500
0.251 0.000 0.500
0.251 0.500 0.500
0.749 0.000 0.500
0.749 0.500 0.500
0.250 0.250 0.000
0.250 0.750 0.000
0.750 0.250 0.000
0.750 0.750 0.000
0.000 0.000 0.000
0.500 0.500 0.000
0.253 0.000 0.000
0.250 0.500 0.000
0.747 0.000 0.000
0.750 0.500 0.000
0.250 0.250 0.500
0.250 0.750 0.500
0.750 0.250 0.500
0.750 0.750 0.500
0.000 0.000 0.500
0.000 0.500 0.500
0.500 0.000 0.500
0.500 0.500 0.500
0.000 0.253 0.000
0.000 0.747 0.000
0.500 0.250 0.000
0.500 0.750 0.000
```

## Properties
- Symmetry: No. 123

***

Which structure is most stable, and how do the rest compare? From most to least stable: arrangement i, arrangement ii.

***

Arrangement i

An optimized crystal structure of Li3Mn2P3O12. Source: the Materials Project database, functional PBE with a Hubbard U.

```
Li3Mn2P3O12
1.0
8.682 0.000 0.000
0.000 8.511 0.000
0.000 0.570 12.496
Li Mn P O
12 8 12 48
Direct
0.089 0.917 0.698
0.695 0.918 0.760
0.781 0.788 0.171
0.281 0.712 0.329
0.195 0.582 0.740
0.589 0.583 0.802
0.411 0.417 0.198
0.805 0.418 0.260
0.719 0.288 0.671
0.219 0.212 0.829
0.305 0.082 0.240
0.911 0.083 0.302
0.041 0.751 0.905
0.541 0.749 0.595
0.956 0.749 0.391
0.456 0.751 0.109
0.544 0.249 0.891
0.044 0.251 0.609
0.459 0.251 0.405
0.959 0.249 0.095
0.746 0.038 0.502
0.614 0.102 0.134
0.906 0.099 0.841
0.114 0.398 0.366
0.406 0.401 0.659
0.246 0.462 0.998
0.754 0.538 0.002
0.594 0.599 0.341
0.254 0.962 0.498
0.386 0.898 0.866
0.886 0.602 0.634
0.094 0.901 0.159
0.176 0.829 0.440
0.101 0.086 0.150
0.320 0.075 0.407
0.410 0.077 0.838
0.623 0.102 0.422
0.611 0.132 0.011
0.783 0.138 0.172
0.744 0.146 0.801
0.861 0.949 0.431
0.899 0.914 0.850
0.680 0.925 0.593
0.590 0.923 0.162
0.377 0.898 0.578
0.389 0.868 0.989
0.217 0.862 0.828
0.972 0.862 0.249
0.256 0.854 0.199
0.139 0.051 0.569
0.038 0.825 0.059
0.509 0.802 0.809
0.009 0.698 0.691
0.538 0.675 0.441
0.676 0.671 0.060
0.717 0.638 0.672
0.756 0.646 0.301
0.889 0.632 0.511
0.472 0.638 0.251
0.877 0.602 0.922
0.180 0.575 0.907
0.399 0.586 0.650
0.090 0.577 0.338
0.361 0.551 0.069
0.639 0.449 0.931
0.910 0.423 0.662
0.601 0.414 0.350
0.820 0.425 0.093
0.123 0.398 0.078
0.528 0.362 0.749
0.111 0.368 0.489
0.244 0.354 0.699
0.283 0.362 0.328
0.324 0.329 0.940
0.462 0.325 0.559
0.991 0.302 0.309
0.491 0.198 0.191
0.962 0.175 0.941
0.824 0.171 0.560
0.028 0.138 0.751
```

## Properties
- Symmetry: No. 14

***

Arrangement ii

An optimized crystal structure of Li3Mn2P3O12. Source: the Materials Project database, functional PBE with a Hubbard U.

```
Li3Mn2P3O12
1.0
-3.518 -5.005 5.963
-4.916 -6.816 -9.264
7.045 -5.007 -0.049
Li Mn P O
12 8 12 48
Direct
0.083 0.696 0.091
0.081 0.759 0.696
0.211 0.171 0.782
0.289 0.329 0.282
0.418 0.739 0.194
0.417 0.802 0.590
0.583 0.197 0.408
0.581 0.261 0.805
0.711 0.671 0.717
0.789 0.829 0.216
~~~

(Activity)
The reader should search the contents further up for the word "Mg14CoNiO16" and echo each line that has it.

(Result)
An optimized crystal structure of Mg14CoNiO16. Source: the Materials Project database, functional PBE with a Hubbard U.
Mg14CoNiO16
An optimized crystal structure of Mg14CoNiO16. Source: the Materials Project database, functional PBE with a Hubbard U.
Mg14CoNiO16